Bethel’s Celebration of the Lord’s Supper

Starting in October, Bethel will begin participating in the Lord’s Supper every week. You may have come from a tradition that practiced the Lord’s Supper weekly. Perhaps, like Bethel, your tradition only practiced the Lord’s Supper once a month or less. Some of you have come from no church tradition. Regardless of your background, allow me to share with you some biblical reflections, some historical reflections, and finally, some practical reflections on why we are making this change. Our discussion here is only a brief overview (hence, “reflections”). I am available for further discussion if needed.

Biblical Reflections
There is no direct command given in Scripture regarding the frequency of the Lord’s Supper. The closest instruction was Jesus’ words as recorded by Paul, “As often as you do this…” This passage does not tell how often to do this, only its significance. However, there is strong evidence of a weekly pattern in the New Testament.

After the establishment of the church at Pentecost, we see in Acts 2:42 four activities mentioned about the gathering of the believers including devotion to the Apostles teaching, to the fellowship, the breaking of bread, and prayer. These four elements appear to be the core of the Christian gathering. The “breaking of the bread” terminology seems to have various meanings in Scripture, including the Lord’s Supper as well as a shared meal. It is highly probable the early church shared a meal. Part of this meal was set aside for the symbolic remembrance of Christ’s broken body and spilled blood.

Another compelling text is Acts 20:7: “On the first day of the week, when we were gathered together to break bread, Paul talked with them, intending to depart on the next day, and he prolonged his speech until midnight.” The terminology “to break bread” seemed to increasingly take on a unique meaning referencing a communal act of worship. In this text, “on the first day of the week,” makes it clear this was a weekly practice.

The unity of believers also gives context to the discussion of the Lord’s Supper in 1 Corinthians 11. For our purposes here, we will not discuss the issue in this passage. However, note the wording of 1 Corinthians 11:20: “When you come together, it is not the Lord’s Supper that you eat.” This occasion is likely where we get the terminology “The Lord’s Supper.” It seems clear it was no standard meal but had a direct reference to the meal that our Lord instituted.

Historical Reflections
It is impossible in a paragraph to cover the history of the practice of the Lord’s Supper. As the church expanded geographically, you find different practices depending on time, ecclesiastical formalities, and other factors. However, perhaps two snapshots of history can help us.

== Here the text breaks off for records of crystals ==
********
No. 1
For LaSnTeAuS2, DFT lattice parameters and positions (PBE) gives the theoretical PXRD pattern in this record (Cu Ka).
Kinematic intensities with the Lorentz-polarization factor, no thermal factor.

Structure:
```
data_LaSnTeAuS2
_cell_length_a 4.152
_cell_length_b 13.916
_cell_length_c 11.534
_cell_angle_alpha 90.00
_cell_angle_beta 90.00
_cell_angle_gamma 90.00
_space_group_name_H-M_alt 'C m c m'
_space_group_IT_number 63
_space_group_name_Hall '-C 2c 2'
loop_
_atom_site_label
_atom_site_fract_x
_atom_site_fract_y
_atom_site_fract_z
La1 0.000 0.000 0.000
Sn1 0.000 0.199 0.250
Te1 0.000 0.116 0.750
Au1 0.000 0.481 0.750
S1 0.000 0.369 0.576
```

Largest 10 diffraction maxima, in order of rising 2θ, 15° ≤ 2θ ≤ 90°:
2θ/deg	I/Imax	(hkl)
15.4	38	0 0 2
27.2	18	1 1 2
29.9	31	1 3 1
31.0	33	0 0 4
32.9	100	1 3 2
42.1	17	1 5 2
43.6	17	2 0 0
45.7	17	0 6 3
54.5	14	2 0 4
56.3	16	1 3 6

No. 2
For NdSmIBr2N, DFT lattice parameters and positions (PBE) gives the theoretical PXRD pattern in this record (Cu Ka).
Kinematic intensities with the Lorentz-polarization factor, no thermal factor.

Structure:
```
data_NdSmIBr2N
_cell_length_a 18.461
_cell_length_b 4.069
_cell_length_c 11.973
_cell_angle_alpha 90.00
_cell_angle_beta 122.62
_cell_angle_gamma 90.00
_space_group_name_H-M_alt 'C 1 2/m 1'
_space_group_IT_number 12
loop_
_space_group_symop_operation_xyz
'x,y,z'
'-x,-y,-z'
'-x,y,-z'
'x,-y,z'
'x+1/2,y+1/2,z'
'-x+1/2,-y+1/2,-z'
'-x+1/2,y+1/2,-z'
'x+1/2,-y+1/2,z'
loop_
_atom_site_label
_atom_site_fract_x
_atom_site_fract_y
_atom_site_fract_z
Nd1 0.132 0.000 0.276
Sm1 0.076 0.500 0.958
I1 0.159 0.500 0.515
Br1 0.043 0.000 0.757
Br2 0.212 0.000 0.110
N1 0.072 0.500 0.147
```

Largest 10 diffraction maxima, in order of rising 2θ, 15° ≤ 2θ ≤ 90°:
2θ/deg	I/Imax	(hkl)
25.4	31	1 1 1
26.8	48	1 1 -2
30.1	35	4 0 -4
30.7	100	6 0 -1
32.8	20	5 1 -2
34.6	21	5 1 -3
37.3	19	3 1 -4
41.1	58	7 1 -3
44.5	24	0 2 0
54.7	17	4 2 -4

No. 3
For NbH, DFT lattice parameters and positions (PBE) gives the theoretical PXRD pattern in this record (Cu Ka).
Kinematic intensities with the Lorentz-polarization factor, no thermal factor.

Structure:
```
data_NbH
_cell_length_a 3.482
_cell_length_b 4.843
_cell_length_c 4.933
_cell_angle_alpha 90.00
_cell_angle_beta 90.00
_cell_angle_gamma 90.00
_space_group_name_H-M_alt 'C c c m'
_space_group_IT_number 66
_space_group_name_Hall '-C 2 2c'
loop_
_atom_site_label
_atom_site_fract_x
_atom_site_fract_y
_atom_site_fract_z
Nb1 0.250 0.250 0.000
H1 0.000 0.000 0.250
```

Largest 10 diffraction maxima, in order of rising 2θ, 15° ≤ 2θ ≤ 90°:
2θ/deg	I/Imax	(hkl)
36.4	25	0 0 2
36.6	100	1 1 1
37.1	23	0 2 0
52.6	8	2 0 0
53.0	17	0 2 2
65.7	26	2 0 2
66.1	9	2 2 0
66.6	17	1 3 1
77.9	10	2 2 2
89.0	8	3 1 1

No. 4
For YLu6Cu2Te2, DFT lattice parameters and positions (PBE) gives the theoretical PXRD pattern in this record (Cu Ka).
Kinematic intensities with the Lorentz-polarization factor, no thermal factor.

Structure:
```
data_YLu6Cu2Te2
_cell_length_a 3.915
********

The early church appeared to continue a practice of a weekly observance of the Lord’s Supper. There are several documents, both Christian and non-Christian, that reference the practice. One such text, The Didache, written around A.D. 50-70 says, “Every Lord’s day, gather yourselves together, and break bread, and give thanksgiving after having confessed your transgressions.”

Justin Martyr provides a complete description of Christian worship from the second century:

And on the day called “of the sun,” when all who live in cities or in the country gather in one place, an assembly occurs, and the memoirs of the apostles or the writings of the prophets are read, as long as there is time; then, when the reader has finished, the president presents a verbal admonition and challenge for the imitation of these good things. Then we all rise together and send prayers, and, as we before said, when the prayer is ended, bread is offered, and wine and water (1 Apol. 67).

As we move to the time of the reformation, it appears many of the reformers understood the Word and table as the center of the Christian gathering. John Calvin did not mince words in expressing his opinion:

These records of crystals were left in the text by mistake:
- - -
Diffraction record for Ac6NdSn3. The X-ray diffraction stick pattern is computed, not measured: it uses a structure optimized by DFT (PBE) and a wavelength of 1.5418 Å.
Neutral-atom scattering factors, no anomalous dispersion.

Structural model:
a = 10.2780 Å, b = 10.2780 Å, c = 7.9287 Å
α = 90.00°, β = 90.00°, γ = 102.82°
Element x y z (fractional)
1 Ac 0.0423 0.9577 0.5000
2 Ac 0.0568 0.4665 0.0164
3 Ac 0.2552 0.7448 0.3458
4 Ac 0.2829 0.3521 0.3426
5 Ac 0.3521 0.2829 0.8426
6 Ac 0.4665 0.0568 0.5164
7 Ac 0.5335 0.9432 0.0164
8 Ac 0.6479 0.7171 0.3426
9 Ac 0.7171 0.6479 0.8426
10 Ac 0.7448 0.2552 0.8458
11 Ac 0.9432 0.5335 0.5164
12 Ac 0.9577 0.0423 0.0000
13 Nd 0.1964 0.8036 0.8677
14 Nd 0.8036 0.1964 0.3677
15 Sn 0.0511 0.2669 0.6600
16 Sn 0.2669 0.0511 0.1600
17 Sn 0.4003 0.5997 0.0369
18 Sn 0.5997 0.4003 0.5369
19 Sn 0.7331 0.9489 0.6600
20 Sn 0.9489 0.7331 0.1600

Top 10 peaks for 2θ = 10–90°, sorted by position:
| d_spacing | I/Imax |
| --- | --- |
| 3.205 | 22 |
| 3.128 | 88 |
| 3.109 | 100 |
| 3.078 | 24 |
| 2.901 | 24 |
| 2.860 | 31 |
| 2.787 | 21 |
| 2.509 | 34 |
| 1.843 | 28 |
| 1.606 | 25 |

=====

(1)
Calculated XRD peak list
Compound: AlCrCuRu
Radiation: λ = 1.5418 Å (Cu Kα)
Structure: a GGA-PBE-relaxed structure
Neutral-atom scattering factors, no anomalous dispersion.

Structural model:
```
16
Lattice="5.952 0.000 0.000 0.000 5.952 0.000 0.000 0.000 5.952" Properties=species:S:1:pos:R:3 pbc="T T T"
Al 0.000 0.000 0.000
Al 0.000 2.976 2.976
Al 2.976 0.000 2.976
Al 2.976 2.976 0.000
Cr 0.000 0.000 2.976
Cr 0.000 2.976 0.000
Cr 2.976 0.000 0.000
Cr 2.976 2.976 2.976
Cu 1.488 1.488 1.488
Cu 1.488 4.464 4.464
Cu 4.464 1.488 4.464
Cu 4.464 4.464 1.488
Ru 1.488 1.488 4.464
Ru 1.488 4.464 1.488
Ru 4.464 1.488 1.488
Ru 4.464 4.464 4.464
```

Top 8 peaks for 2θ from 10° to 90°, in order of falling intensity:
- 42.98 deg, d 2.104, intensity 1000
- 78.77 deg, d 1.215, intensity 305
- 30.03 deg, d 2.976, intensity 177
- 62.41 deg, d 1.488, intensity 155
- 25.93 deg, d 3.436, intensity 79
- 70.80 deg, d 1.331, intensity 60
- 53.32 deg, d 1.718, intensity 48
- 50.88 deg, d 1.795, intensity 35

***

(2)
Calculated XRD peak list
Compound: Ti2Al2CrCuS8
Radiation: λ = 1.5418 Å (Cu Kα)
Structure: a GGA-PBE-relaxed structure
Neutral-atom scattering factors, no anomalous dispersion.

Structural model:
```
14
Lattice="6.070 -3.499 0.000 6.070 3.499 0.000 -4.074 0.000 5.926" Properties=species:S:1:pos:R:3 pbc="T T T"
Ti 6.070 1.936 0.000
Ti 6.070 -1.936 0.000
Al 3.167 0.000 2.357
Al 7.194 0.000 3.024
Cr 9.367 0.000 0.022
Cu -0.903 0.000 3.738
S -3.021 0.000 4.475
S -0.944 0.000 1.500
S 5.282 0.000 1.477
S 3.164 0.000 4.653
S 8.177 1.636 1.484
S 6.183 1.622 4.473
S 8.177 -1.636 1.484
S 6.183 -1.622 4.473
```

Top 8 peaks for 2θ from 10° to 90°, in order of falling intensity:
- 35.85 deg, d 2.505, intensity 1000
- 52.25 deg, d 1.751, intensity 718
- 51.02 deg, d 1.790, intensity 535
- 29.89 deg, d 2.989, intensity 504
- 29.61 deg, d 3.017, intensity 392
- - -
Here the text continues:

If Justin’s language seems a bit strange, remember he is writing an apology of the Christian religion and practice to outsiders rather than a manual for church life.

Plainly this custom which enjoins us to take communion once a year is a veritable invention of the devil…For there is not the least doubt that the Sacred Supper was in that era [the early church] set before the believers every time they met together…the Lord’s Table should have been spread at least once a week for the assembly of Christians, and the promises declared in it should feed us spiritually. (Inst. IV. XVII. 46).

Some Practical Reflections
Let me offer three practical reasons for participating in the Lord’s Supper every week. I present these in no particular order of importance and only state the idea at the highest level to spare you the pain of reading my elongated thought process.

First, through the Lord’s Supper, we proclaim the gospel every Sunday. One of the core values of Bethel Church is “We are passionate about the Gospel and its power.” We want to be sure to proclaim the gospel during our worship services. By including communion every Sunday, we anchor everything in the gospel.

A fellow pastor whose church practices a weekly Lord’s Supper despite being a seeker-oriented service provides an exciting insight. He states more people come to faith in their church through their practice of communion than through his sermons.

+++
# 1
Structure and calculated powder X-ray diffraction pattern of TmZrOs2 (DFT lattice parameters and positions (PBE); Cu Kα).

The 10 most intense peaks (2θ = 10–80°), in order of falling intensity:
38.3 deg, d = 2.349 Å, intensity 100, (2 2 0); 69.3 deg, d = 1.356 Å, intensity 35, (4 2 2); 55.3 deg, d = 1.661 Å, intensity 17, (4 0 0); 26.8 deg, d = 3.322 Å, intensity 4, (2 0 0); 23.2 deg, d = 3.836 Å, intensity 3, (1 1 1); 45.3 deg, d = 2.004 Å, intensity 2, (3 1 1); 62.5 deg, d = 1.486 Å, intensity 2, (4 2 0); 47.4 deg, d = 1.918 Å, intensity 1, (2 2 2); 60.8 deg, d = 1.524 Å, intensity 1, (3 3 1); 74.1 deg, d = 1.279 Å, intensity 1, (5 1 1)

Atomic structure:
Cell lengths 6.645, 6.645, 6.645 Å; angles 90.00, 90.00, 90.00 degrees
Space group Fm-3m (No. 225)
One atom of each set of equivalent atoms:
Tm 0.000 0.000 0.000 x4
Zr 0.000 0.000 0.500 x4
Os 0.250 0.250 0.250 x8

=====

# 2
Structure and calculated powder X-ray diffraction pattern of Zr2Ti3Si3 (DFT lattice parameters and positions (PBE); Cu Kα).

The 10 most intense peaks (2θ = 10–80°), in order of falling intensity:
40.5 deg, d = 2.229 Å, intensity 100, (3 0 0); 35.5 deg, d = 2.528 Å, intensity 40, (2 1 0); 39.3 deg, d = 2.293 Å, intensity 25, (2 1 1); 13.3 deg, d = 6.682 Å, intensity 24, (1 0 0); 58.6 deg, d = 1.576 Å, intensity 17, (2 2 2); 23.1 deg, d = 3.858 Å, intensity 15, (1 1 0); 26.7 deg, d = 3.341 Å, intensity 15, (2 0 0); 73.6 deg, d = 1.286 Å, intensity 11, (3 3 0); 62.9 deg, d = 1.477 Å, intensity 10, (2 1 3); 60.4 deg, d = 1.534 Å, intensity 8, (3 1 2)

Atomic structure:
Cell lengths 7.7157, 7.7157, 5.4669 Å; angles 90.00, 90.00, 120.00 degrees
Space group P6_3/mcm (No. 193)
One atom of each set of equivalent atoms:
Zr 0.3333 0.6667 0.0000 x4
Ti 0.0000 0.2564 0.2500 x6
Si 0.0000 0.3764 0.7500 x6

=====

# 3
Structure and calculated powder X-ray diffraction pattern of Lu2MgRu (DFT lattice parameters and positions (PBE); Cu Kα).

The 10 most intense peaks (2θ = 10–80°), in order of falling intensity:
36.5 deg, d = 2.460 Å, intensity 100, (2 2 0); 65.7 deg, d = 1.420 Å, intensity 36, (4 2 2); 25.6 deg, d = 3.479 Å, intensity 26, (2 0 0); 52.6 deg, d = 1.740 Å, intensity 18, (4 0 0); 77.6 deg, d = 1.230 Å, intensity 11, (4 4 0); 59.4 deg, d = 1.556 Å, intensity 11, (4 2 0); 45.1 deg, d = 2.009 Å, intensity 8, (2 2 2); 22.1 deg, d = 4.018 Å, intensity 7, (1 1 1); 43.1 deg, d = 2.098 Å, intensity 3, (3 1 1); 57.8 deg, d = 1.596 Å, intensity 1, (3 3 1)

Atomic structure:
Cell lengths 6.959, 6.959, 6.959 Å; angles 90.00, 90.00, 90.00 degrees
Space group Fm-3m (No. 225)
One atom of each set of equivalent atoms:
Lu 0.250 0.250 0.250 x8
Mg 0.000 0.000 0.000 x4
Ru 0.000 0.000 0.500 x4

* * * * *

[1]
# Nd3S3Cl
Theoretical X-ray powder pattern, λ = 1.5418 Å (Cu Kα). Input: a crystal structure in Alexandria, relaxed with GGA-PBE.
Kinematic intensities with the Lorentz-polarization factor, no thermal factor.

Largest 12 diffraction maxima, low angle first, 2θ = 10–80°:
20.24°, I = 57.8
+++

Second, practicing the Lord’s Supper weekly heightens participation of the congregation. Our corporate worship is not to be a spectator event. God has given us a means through the Lord’s Supper to participate together beyond songs, hymns, and spiritual songs.

Third, weekly participation is one of the biblical forms of worship. We allow other things to become part of our regular worship experience (example: passing an offering plate) to the neglect of one of the few things he commanded us to do – the Lord’s Supper.

Finally, the Lord’s Supper is a communal event communicating and advancing our unity in Christ as his family of believers. This is no small thing. It is why in 1 Corinthians 11 when eating “unworthily” is brought forward, the emphasis seemed to be on their lack of preferring and caring for one another over their indulgences.

Possible Objections
Ray Van Neste responds well to two possible objections to the weekly celebration:

A typical argument against this idea is, “If we do this so often it will become less meaningful.” At first, this has the appearance of wisdom; but with just a little pondering the illusion fades. Do we apply this reasoning to other means of grace? Are we worried about praying too frequently? Reading the Bible too much? Shall we be safe and make biblical preaching less frequent? These practices become rote not because of frequency but because of lazy minds and hearts and the lack of robust biblical proclamation alongside the ordinance.

Some also say we can better appreciate communion when we set aside only certain Sundays for it and on those days focus directly on communion. However, we do not need more elaborate observance or contrived production, but the regular observance of this simple rite tied into the regular preaching of the Word. We do not need to “build it up” with any extras. We need to preach the gospel and then display and participate in the gospel in communion.